Page 1: Assessing The Fire Risk For A Historic Hangar · hangar floor sprinklers or under wing deluge system. The event tree in Figure 2 represents event sequences in this trade study option

Assessing The Fire Risk For A Historic Hangar

Koushik Datta; NASA

Richard S. Morrison; NASA

Key Words: Risk Assessment, Event Tree, Fire Suppression, Hangar


NASA Ames Research Center (ARC) is evaluatingoptions of reuse of its historic Hangar 1. As a part of thisevaluation, a qualitative fire risk assessment study wasperformed to evaluate the potential threat of combustion of thehistoric hangar. The study focused on the fire risk trade-off ofeither installing or not installing a Special Hazard FireSuppression System in the Hangar 1 deck areas.

The assessment methodology was useful in discussing theimportant issues among various groups within the Center.Once the methodology was deemed acceptable, the resultswere assessed. The results showed that the risk remained inthe same risk category, whether Hangar 1 does or does nothave a Special Hazard Fire Suppression System. Note that themethodology assessed the risk to Hangar 1 and not the risk toan aircraft in the hangar. If one had a high value aircraft, theaircraft risk analysis could potentially show a different result.

The assessed risk results were then communicated tomanagement and other stakeholders.


In the early 1930s the Naval Air Station Sunnyvale,California was commissioned to house the USS Macon, a U.S.Naval Airship (dirigible). It is now part of a Historic District[1] consisting of a large number of buildings that wereconstructed from the 1930s on. By far the most famous andvisible site is Hangar 1 which is visible from the nearbyfreeways and from the air. Hangar 1 housed the USS Macon,and was named as a Naval Historical Monument in the early1950s. The floor covers eight acres and can accommodate 10football fields; it is 1,133 feet long and 308 feet wide withwalls forming an elongated dome 198 feet high.

Hangar 1 is the center of a debate over its future as itsexternal structure was leaking toxic chemicals into the groundwater. The US Navy has coated the exterior panels with anencapsulant and is evaluating options for remediating the toxicchemicals permanently. During this process, NASA ARC isevaluating options for the maximum practicable use of Hangar1 subsequent to its proposed restoration. Potential uses of thehangar include storage and light, non-hazardous maintenance(unfueled air vehicles and no hot work allowed in the hangar)of air vehicles (e.g. fixed-wing aircraft, helicopters, and/orrigid/non-rigid airships), and special short-term events such aspublic engagements. The plan is to restore Hangar 1 to all

current codes but assess the need for a Special Hazard FireSuppression System (like, hangar floor sprinklers or underwing deluge system). The building code allows the exceptionof Special Hazard Fire Suppression Systems under certaincircumstances. The California State Historic PreservationOffice recommended a risk assessment be performed toevaluate the potential threat to the hangar of activitiesperformed inside of it.

This paper provides an overview of the resulting fire riskassessment performed at NASA ARC in relation to therenovation of the historic hangar 1.


The goal was to assess the alternatives in a 5x5 riskmatrix. Managers at NASA ARC are comfortable with usingthese risk matrices in making risk informed decisions.Although routine in the aerospace program/project arena, thisrisk informed decision making approach is gaining a strongfoothold in institutional or facility modification projects.

This was a limited-scope fire risk assessment for Hangar1. The trade space was an analysis of the risk of major hangarfire with and without a Special Hazard Fire SuppressionSystem for Hangar 1.

The authors chose to use the framework of a probabilisticrisk analysis, consisting of event trees and fault trees. Potentialaccident sequences for a fire in Hangar 1 were developed inthe SAPHIRE [2] software code by developing event and faulttrees. The event tree displays an initiating event, whichdisrupts normal operations, followed by a sequence of events(in time) involving success and/or failure of systemcomponents. Each path in the event tree is an accidentscenario sequence of systems that either succeed or fail duringthe accident sequence.

Each accident sequence was assessed in terms of itsconsequence and likelihood. The consequence is anassessment of the worst credible potential result. Thelikelihood is the probability that the identified accidentsequence will occur.

Initially, three event trees were created to assess:• Aircraft Initiated Fire Risks in the Hangar• Airship Initiated Fire Risks in the Hangar• Short Term Special Event Fire Risks in the HangarThese event trees resulted in various event sequences that

had consequences of major damage to the hangar, minordamage, and negligible damage. An example initial event tree

Page 2: Assessing The Fire Risk For A Historic Hangar · hangar floor sprinklers or under wing deluge system. The event tree in Figure 2 represents event sequences in this trade study option

These data records were left in the article by mistake.
/*
DFT (the ωB97M-V functional and the def2-TZVPD basis) results for a molecular structure, C33H21F6IN4O13S2TeW in a non-equilibrium geometry.

Output
**Calculated total energy**: -4495.6113 Eh
**Energy above the lowest of the compared OMol25 structures with the same formula, charge and spin**: 303.8 kJ/mol
**2S+1**: 3
**LUMO (alpha / beta)**: -0.99 / -1.16 eV
**Kohn-Sham gap (alpha / beta)**: 5.24 / 7.21 eV

XYZ file:
```
82
Properties=species:S:1:pos:R:3:mulliken_charge:R:1
W -0.74922 1.14852 -0.31250 0.583
O -0.88829 -2.00335 -5.68030 -0.582
C -0.89745 -1.35349 -4.49962 0.766
C -1.35269 -1.91682 -3.32543 -0.588
C -1.30979 -1.17649 -2.15053 0.523
N -0.87037 0.11079 -2.14169 0.728
C -0.43405 0.64822 -3.30333 0.471
C -0.41221 -0.02977 -4.48155 -0.665
C -0.04776 2.07953 -3.07148 0.053
O 0.44942 2.79910 -3.89464 -0.701
O -0.38871 2.41428 -1.84830 -0.618
C -1.74242 -1.59404 -0.81995 -0.044
O -2.32747 -2.61065 -0.53732 -0.708
O -1.42817 -0.64867 0.07110 0.032
H -1.25990 -2.88550 -5.57754 0.320
H -1.73291 -2.93103 -3.28726 0.466
H -0.05876 0.44523 -5.38549 0.610
F 4.32307 1.76336 0.29175 -0.198
C 3.62619 2.36451 1.25621 0.622
F 4.41500 3.22582 1.88173 -0.225
F 3.20822 1.44452 2.12304 -0.156
S 2.17446 3.23647 0.47692 0.828
O 1.51765 2.21532 -0.34572 -0.264
O 2.70647 4.36554 -0.19938 -0.615
N 1.34766 3.57769 1.77843 -0.371
S -0.20592 3.67644 1.73788 1.091
O -0.76614 3.18250 0.46246 -0.602
O -0.85565 3.33575 2.95411 -0.720
C -0.49111 5.49699 1.50921 0.705
F -1.80576 5.72592 1.42815 -0.203
F 0.08002 5.86958 0.36711 -0.196
F 0.01159 6.21004 2.50309 -0.207
I -6.56858 0.08989 0.37095 0.093
C -5.06109 1.40068 -0.24476 -0.620
C -5.30511 2.76197 -0.34626 -0.140
C -4.25808 3.54533 -0.80676 -1.084
C -3.04402 2.96980 -1.10097 -0.295
N -2.78264 1.65153 -0.94071 0.016
C -3.82153 0.88565 -0.53669 0.043
H -6.26209 3.18775 -0.08294 0.448
H -4.38416 4.61074 -0.93828 0.478
H -2.23116 3.55672 -1.50047 0.639
H -3.63472 -0.17233 -0.43822 0.395
Te 1.54734 -0.53509 -0.33421 0.447
C 2.41772 -1.09924 -2.22474 0.589
C 3.36739 -0.23719 -2.76609 -0.255
C 3.93573 -0.51023 -4.00135 -0.738
C 3.55760 -1.64310 -4.70695 -0.600
C 2.60856 -2.50167 -4.17048 -0.754
C 2.03409 -2.22853 -2.93852 -0.360
C 1.49520 -2.57116 0.42312 0.736
C 2.36406 -2.81586 1.48417 -0.690
C 2.40520 -4.06548 2.08456 -0.620
C 1.58041 -5.08172 1.62471 -0.674
C 0.70923 -4.83918 0.57333 -0.943
C 0.65850 -3.58691 -0.02235 0.233
H 3.66779 0.64816 -2.21960 0.391
H 4.67824 0.16342 -4.40886 0.445
H 3.99874 -1.85650 -5.67174 0.385
H 2.30965 -3.38596 -4.71951 0.433
H 1.29551 -2.90328 -2.52637 0.310
H 3.01329 -2.02508 1.83947 0.388
H 3.07650 -4.23483 2.91657 0.496
H 1.60810 -6.05748 2.09224 0.389
H 0.04869 -5.62190 0.22253 0.442
H -0.05073 -3.41414 -0.81919 0.188
O -1.95493 1.22467 1.49525 -0.725
C -0.94388 0.74084 2.06782 1.218
O 0.19134 1.01950 1.48312 -0.200
C -0.95729 -0.09310 3.25024 -0.348
C -2.14301 -0.31646 3.95499 -0.862
C -2.12332 -1.06342 5.11646 -0.817
C -0.93741 -1.60240 5.58786 -0.491
*/

is shown in section 4. The event sequences resulting from amajor hangar fire were evaluated further in two subsequentevent trees — one with a Special Hazard Fire SuppressionSystem, and another without any Special Hazard FireSuppression System (see sections 5 and 6).

Fault trees were generated for all initiating events andsome pivotal events. They were used to generate theprobabilities of the events in the various event trees. Forreasons of conciseness, this paper only shows some of theevent trees and none of the fault trees.

The consequences in the two event trees with and withoutSpecial Hazard Fire Suppression System were classified asCatastrophic, Critical, Major, Minor, and Negligible.Likelihoods were classified as Likely to occur, Probably willoccur, May Occur, Unlikely to occur, and Improbable tooccur, in the life of the facility, which for the purposes of thisanalysis is assumed to be approximately thirty years.

Given the consequence and likelihood, the riskassessment code is obtained from a 5x5 risk matrix shown inFigure 4. The risk is qualitatively rated as high, medium, orlow (shown as red, yellow, or green in the matrix).


Some of the major assumptions of the study are listedhere

It is assumed that the current Hangar 1 will becompletely renovated as per the Navy’s EngineeringEvaluation. All new structure, material andcomponents will be up to the current fire codes thatinclude adequate fire detection, alarms and watersupply system to the fire hoses. The hangar roof willbe accessible to firefighters as part of the upgrades.The fire alarm system will have directcommunication with the ARC Emergency Dispatch

Center and the on-base Fire Station.Future operations within Hangar 1 are limited to lightmaintenance and storage of aircraft and airships, andshort term special events.All Hangar 1 auxiliary shops and offices afterproposed renovations are assumed to be codecompliant.Only fire risk was assessed for the hangar area, due toinitiating events either in the hangar area or in anaircraft, airship or special event. Initiating fire eventsin office spaces are covered by the fire codes andwere not addressed in the study. Other initiatingevents, like seismic or storm events, were notassessed.Discussions with cognizant ARC personnel suggestthat a Special Hazard Fire Suppression System willnot be effective against a fire of the hangar itself, dueto the hangar’s very large volume and significantheight and width. The effectiveness of a SpecialHazard Fire Suppression System could not bequantified; however, it was conservatively judged bythe authors to have a fifty-fifty effectiveness.


This section shows one of the three initial event trees (seeSection 2) as an illustration of the methodology. The eventtree for an aircraft initiated risk of a “Major fire in Hangar 1”is shown in Figure 1.

The initiating event is that a local fire starts in an aircraftthat is stored in the renovated hangar 1. This is assessed to be“Probable” in the life of the hangar. Local fire detection,meaning within the aircraft, occurs with a high probability.When detected, the ARC Emergency Dispatch Center is alsoalerted by phone. If the local-to-the-aircraft fire fighting (e.g.,

Figure 1 - Event Tree for Aircraft Initiated Hangar 1 Fire Risk

Page 3: Assessing The Fire Risk For A Historic Hangar · hangar floor sprinklers or under wing deluge system. The event tree in Figure 2 represents event sequences in this trade study option

personnel with fire extinguishers) is effective on the unfueledaircraft, it results in sequence #1 with a “Negligible Damage”consequence and a “Probable” likelihood in the life of thehangar. Event sequence #1 occurs whether or not there is aSpecial Hazard Fire Suppression System and this risk is shownin the risk assessment matrix of Figure 4.

Event sequence #2 occurs if local fire fighting isineffective and this results in a “Major fire in Hangar 1.”Event sequence #3 occurs if the fire is not detected in time sothat this event sequence also results in a “Major fire in Hangar1.” These two event sequences show that an aircraft relatedfire initiating event can spread and become a “Major fire inHangar 1” with a “May Occur” likelihood in the life of thehangar.

These sequences feed the initiating event in event trees of“Fire Risk of Hangar 1 without any Special Hazard FireSuppression System” (Figure 2) and “Fire Risk of Hangar 1with a Special Hazard Fire Suppression System” (Figure 3).

Note that the event tree of Figure 1 does not include theARC Fire Department's effectiveness in fighting the fire —they are included in the event trees of Figures 2 and 3.

As mentioned in the methodology section, the studyincluded initial event trees for “Airship Initiated Fire Risks inthe Hangar” and “Short Term Special Event Fire Risks in theHangar.” Those initial event trees are not shown in this paper,but they both had "Major fire in Hangar 1" sequences with"May Occur" likelihoods. The “Major fire in Hangar 1”sequences from all three initial event trees feed the event treesof Figures 2 and 3.


This section assesses the first option in the trade study.Here it is assumed that the proposed renovated Hangar 1 willnot have any Special Hazard Fire Suppression System like

hangar floor sprinklers or under wing deluge system.The event tree in Figure 2 represents event sequences in

this trade study option that could lead to fire damage ofHangar 1 where the initiating event is a “Major fire in Hangar1.” The likelihood of this initiating event was assessed to be as“May Occur” in the life of the hangar from an assessment ofthe three event trees as described in the previous section.

The first branch that occurs in the event tree is firedetection. One can get to this state with a locally undetectedfire (event sequence #3, Figure 1). Hence, this fire detectionevent is different from the local fire detection event in theinitial event tree of Figure 1. Once the fire grows big enough itcan be detected outside the aircraft by the hangar fire detectionsystem. It was assessed that there is a high probability that amajor fire in the hangar would be successfully detected by thenew fire detection/alarm system, conversely it was assessedthat there is a low probability that fire detection would fail.

No branching occurs at the second branch since there isno Special Hazard Fire Suppression System.

At the third branch, if the fire is detected the alarm is set-off and the ARC Emergency Dispatch Center is notified. Sincethe ARC fire station is very close to Hangar 1, the response (ifARC Fire Department resources are in quarters and notassigned to another emergency incident) should be immediateand the team assessed that fire fighting should be effectivewith a high probability occurrence; and only with a lowprobability that fire fighting would be ineffective.

In the upper part of the event tree (Figure 2), a major fireoccurrence with effective fire fighting (event sequence #1)was assessed to result in “Major damage” as a consequencewith likelihood that it “May Occur” in the life of the hangar. Amajor fire with ineffective fire fighting (event sequence #2)was assessed to result in “Critical Damage” as a consequencewith a likelihood of “Unlikely” to occur in the life of thehangar. In the lower part of the event tree, if the major fire is

Figure 2 - Event Tree for Fire Risk of Hangar 1 without any Special Hazard Fire Suppression System

Page 4: Assessing The Fire Risk For A Historic Hangar · hangar floor sprinklers or under wing deluge system. The event tree in Figure 2 represents event sequences in this trade study option

not detected automatically, it eventually will get detected bypersonnel and the fire station notified. However, thenotification is relatively late in this case (as compared to whenthe fire is automatically detected and the fire station isautomatically notified). So in this case late effective firefighting results in “Critical Damage” (event sequence #3).Otherwise ineffective fire fighting (event sequence #4) wouldresult in “Catastrophic Damage” to the hangar, which wasjudged to have an “Improbable” likelihood of occurrence inthe life of the hangar.

The resulting consequence / likelihood of these accidentsequence scenarios are shown in the risk matrix of Figure 4.


This section assesses the second option in the trade study.Here it is assumed that the proposed renovated Hangar 1 has aSpecial Hazard Fire Suppression System. The event tree isshown in Figure 3.

The initiating event (a major fire in hangar) in this eventtree represents the same initiating event used in the previousevent tree (Figure 2). The first pivotal event is fire detection

and it is the same in both event trees.The second pivotal event is different in the two event

trees because of inclusion of the Special Hazard FireSuppression System. In this event branch, if the firesuppression system is effective (event sequence #1, Figure 3),it results in “Minor Damage” to the hangar with a “MayOccur” likelihood of occurrence in the life of the hangar. Theprobabilities are obtained from one of the major assumptionsin section 2.

If the fire suppression system is not effective, fire fightingefforts (event sequence #2, Figure 3) were judged to have ahigh probability of limiting the fire damage. This pivotal eventis the same as in Figure 2. Event sequences 2 and 3 areassessed to have “Major damage” and “Critical damage,”respectively — just like in Figure 2. These event sequencesalso occur with the same likelihood, the reason being that theprobabilities are reduced by a factor of two but not by an orderof magnitude. When fire is not detected automatically, thelower part of the event tree of Figure 3, the accident sequencesare identical to previous event tree of Figure 2.

The resulting consequence likelihood of these accidentsequence scenarios are shown in the risk matrix of Figure 4.

Figure 3 - Event Tree for Fire Risk of Hangar 1 with a Special Hazard Fire Suppression System


Consequences and likelihoods of all event sequences inthe three initial event trees and the two trade study options(with & without Special Hazard Fire Suppression System) aredisplayed in the risk matrix of Figure 4. Other assessed riskslower in either consequence and/or likelihood are not shown inFigure 4. In essence, this risk matrix only shows the largestrisk boundary.

Examination of the risk matrix shows that there is verylittle difference between the two options in terms of theirhighest severity risk category — they are both yellow

reflecting a medium level of risk. Therefore, installation of aSpecial Hazard Fire Suppression System does not appear toreduce the risk category of a major fire in the hangar. In mostARC applications, this risk can be accepted by aproject/facility with suitable examination of the accidentsequences and their risk management plan. Sensitivity analysison the major assumptions showed only small differences withno change in the overall result.

The risk assessment process was very useful in discussingthe important issues between the Facilities EngineeringDivision, Fire Protection Office, and the Safety and MissionAssurance Directorate. The assessed risks were communicated

Page 5: Assessing The Fire Risk For A Historic Hangar · hangar floor sprinklers or under wing deluge system. The event tree in Figure 2 represents event sequences in this trade study option

using the risk matrix to upper management. After internal State Historic Preservation Office. It was accepted by thereview, the risk assessment was provided to the California California State Historic Preservation Officer.


With orWithout Special

Probable Hazard FireSuppression

Systemb With or With orC Without Special Without Special

May Occur Hazard Fire Hazard Fire0) Suppression Suppression

aSystem System

With orIs irWithout Special

Unlikely Hazard FireSuppression

SystemWith or

Without SpecialImprobable


Hazard FireSuppression


Negligible Minor Major Critical Catastrophic


Figure 4 - Fire Risk Assessment Matrix for Hangar 1

8 ACKNOWLEDGEMENT e-mail: [email protected]

The authors would like to thank Keith Venter, TimGafney, Tony Caringello, and Herb Jewell of NASA AmesResearch Center for their expertise and effort in support of therisk assessment. The personal time and attention to detailprovided by Phillip Ford of NASA Ames Research Center inreviewing the paper was very helpful.


1. National Park Service, “US Naval Air Station Sunnyvale,CA Historic District (Moffett Field),”

2. INEEL, "Systems Analysis Programs for Hands-onIntegrated Reliability Evaluations," SAPHIRE version7.26, Idaho National Engineering & EnvironmentalLaboratory, Idaho Falls, ID 83415,


Koushik DattaNASA Ames Research CenterMS 237-15Moffett Field, California 94035 USA

Koushik is the Chief of the Systems Safety and MissionAssurance Division at NASA Ames Research Center. Koushikhas extensive experience in reliability, risk, and safetyassessments of systems ranging from facilities to sciencepayloads. Koushik received his Ph.D. in Operations Researchfrom UC Berkeley and his B.Tech. in Mechanical Engineeringfrom IIT Madras.

Richard S. MorrisonNASA Ames Research CenterMS 262-4Moffett Field, California 94035 USA

e-mail: [email protected]

Richard is an analyst for the System Safety and MissionAssurance Division at NASA Ames Research Center. Richardhas extensive experience in aircraft operations, system design,risk and system safety assessments of systems includingfacilities, aircraft, electrical/electronic systems, scienceinstrument, telescopes and aircraft operations. Richardreceived his BS in Aircraft Operations for San Jose Universityand MS in Reliability Engineering from University Maryland.
